Contents.
┌──
Computed X-ray powder pattern of Cs2Pu3CoO12 for CuKα, from a structure optimized by DFT (PBE+U).
Peak positions follow from Bragg's law for the DFT cell and can differ from measured ones.

Structural model:
```
Cs2Pu3CoO12
1.0
3.9109 2.2580 5.7678
-3.9109 2.2580 5.7678
0.0000 -4.5159 5.7678
Cs Pu Co O
2 3 1 12
Cartesian
0.0000 0.0000 2.1984
0.0000 0.0000 15.1048
-1.9555 -1.1290 5.7678
-1.9554 1.1290 11.5355
0.0000 2.2580 5.7677
0.0000 0.0000 8.6516
0.0000 -1.7287 5.2478
-1.4971 0.8643 5.2478
-1.3837 -0.7989 7.5827
-1.4971 -0.8643 12.0555
0.0000 -1.5978 9.7206
-1.3837 0.7989 9.7206
1.3837 -0.7989 7.5826
0.0000 1.5978 7.5826
1.4971 0.8643 5.2478
1.3837 0.7989 9.7206
1.4971 -0.8643 12.0555
0.0000 1.7287 12.0555
```

Main lines, low angle first (5° ≤ 2θ ≤ 70°):
| 2θ/deg | d [Å] | I_rel |
| --- | --- | --- |
| 15.36 | 5.768 | 44 |
| 24.42 | 3.646 | 29 |
| 26.82 | 3.324 | 100 |
| 27.56 | 3.237 | 71 |
| 28.30 | 3.154 | 77 |
| 28.97 | 3.082 | 29 |
| 46.44 | 1.955 | 40 |
| 50.04 | 1.823 | 34 |

----------

The following is a computed PXRD pattern of BAu. It was derived from DFT lattice parameters and positions (PBE), using Cu Kα (λ = 1.5418 Å).
Peak positions follow from Bragg's law for the DFT cell and can differ from measured ones.

Peak list (10 most intense, 2θ from 10° to 90°, by angle)
hkl 1 0 0, 2θ = 29.38°, I 26; hkl 0 0 2, 2θ = 30.21°, I 30; hkl 1 0 1, 2θ = 33.14°, I 100; hkl 1 0 2, 2θ = 42.65°, I 18; hkl 1 1 0, 2θ = 52.12°, I 21; hkl 1 0 3, 2θ = 55.55°, I 26; hkl 1 1 2, 2θ = 61.43°, I 24; hkl 2 0 1, 2θ = 63.16°, I 16; hkl 1 1 4, 2θ = 85.95°, I 10; hkl 2 1 1, 2θ = 86.25°, I 15

Structure:
```
data_BAu
_cell_length_a 3.5098
_cell_length_b 3.5098
_cell_length_c 5.9160
_cell_angle_alpha 90.00
_cell_angle_beta 90.00
_cell_angle_gamma 120.00
_space_group_name_H-M_alt 'P 1'
_space_group_IT_number 1
_space_group_name_Hall 'P 1'
loop_
_atom_site_label
_atom_site_type_symbol
_atom_site_fract_x
_atom_site_fract_y
_atom_site_fract_z
B1 B 0.3333 0.6667 0.0000
B2 B 0.6667 0.3333 0.5000
Au1 Au 0.3333 0.6667 0.6294
Au2 Au 0.6667 0.3333 0.1294
```

----------

1.
The following is a theoretical powder XRD pattern of CsGd2Ag3Te5. It was derived from a DFT-relaxed cell (PBE, the Materials Project), using copper Kα.

Most intense lines, 2θ = 15–90°, low angle first:
2θ/deg, I_rel
24.97, 42
25.42, 82
26.73, 78
28.44, 66
31.47, 67
33.34, 60
34.72, 53
38.17, 100
42.08, 78
44.35, 44

Cell and atoms:
a b c (Å): 8.507 8.507 18.828
angles (deg): 90.00 90.00 147.81
Atoms (fractional coordinates):
Cs: 0.059 0.941 0.750
Cs: 0.941 0.059 0.250
Gd: 0.192 0.808 0.094
Gd: 0.192 0.808 0.406
Gd: 0.808 0.192 0.594
Gd: 0.808 0.192 0.906
Ag: 0.342 0.658 0.750
Ag: 0.417 0.583 0.034
Ag: 0.417 0.583 0.466
Ag: 0.583 0.417 0.534
Ag: 0.583 0.417 0.966
Ag: 0.658 0.342 0.250
Te: 0.179 0.821 0.571
Te: 0.179 0.821 0.929
Te: 0.253 0.747 0.250
Te: 0.434 0.566 0.618
Te: 0.434 0.566 0.882
Te: 0.566 0.434 0.118
Te: 0.566 0.434 0.382
Te: 0.747 0.253 0.750
Te: 0.821 0.179 0.071
Te: 0.821 0.179 0.429

***

2.
The following is a theoretical powder XRD pattern of Cs2PrAgI6. It was derived from a DFT-relaxed cell (PBE, the Materials Project), using copper Kα.

Most intense lines, 2θ = 15–90°, low angle first:
2θ/deg, I_rel
20.28, 21
24.91, 69
28.84, 100
41.24, 75
48.78, 33
51.11, 26
59.75, 12
65.74, 13
67.68, 34
75.18, 25

Cell and atoms:
a b c (Å): 8.756 8.756 8.756
angles (deg): 60.00 60.00 60.00
Atoms (fractional coordinates):
Cs: 0.250 0.250 0.250
Cs: 0.750 0.750 0.750
Pr: 0.000 0.000 0.000
Ag: 0.500 0.500 0.500
I: 0.253 0.253 0.747
I: 0.253 0.747 0.253
I: 0.253 0.747 0.747
I: 0.747 0.253 0.253
I: 0.747 0.253 0.747
I: 0.747 0.747 0.253

***

3.
The following is a theoretical powder XRD pattern of Cs2ScAgI6. It was derived from a DFT-relaxed cell (PBE, the Materials Project), using copper Kα.

Most intense lines, 2θ = 15–90°, low angle first:
2θ/deg, I_rel
25.82, 100
29.91, 97
42.80, 71
50.67, 46
53.09, 25
62.14, 11
68.44, 18
70.48, 31
78.40, 23
84.19, 14

Cell and atoms:
└──

Wanted.
Repeat the part of the lines further above that starts with the line with "-1.9555 -1.1290" and stops after the one with "42.08, 78".

Completed.
-1.9555 -1.1290 5.7678
-1.9554 1.1290 11.5355
0.0000 2.2580 5.7677
0.0000 0.0000 8.6516
0.0000 -1.7287 5.2478
-1.4971 0.8643 5.2478
-1.3837 -0.7989 7.5827
-1.4971 -0.8643 12.0555
0.0000 -1.5978 9.7206
-1.3837 0.7989 9.7206
1.3837 -0.7989 7.5826
0.0000 1.5978 7.5826
1.4971 0.8643 5.2478
1.3837 0.7989 9.7206
1.4971 -0.8643 12.0555
0.0000 1.7287 12.0555
```

Main lines, low angle first (5° ≤ 2θ ≤ 70°):
| 2θ/deg | d [Å] | I_rel |
| --- | --- | --- |
| 15.36 | 5.768 | 44 |
| 24.42 | 3.646 | 29 |
| 26.82 | 3.324 | 100 |
| 27.56 | 3.237 | 71 |
| 28.30 | 3.154 | 77 |
| 28.97 | 3.082 | 29 |
| 46.44 | 1.955 | 40 |
| 50.04 | 1.823 | 34 |

----------

The following is a computed PXRD pattern of BAu. It was derived from DFT lattice parameters and positions (PBE), using Cu Kα (λ = 1.5418 Å).
Peak positions follow from Bragg's law for the DFT cell and can differ from measured ones.

Peak list (10 most intense, 2θ from 10° to 90°, by angle)
hkl 1 0 0, 2θ = 29.38°, I 26; hkl 0 0 2, 2θ = 30.21°, I 30; hkl 1 0 1, 2θ = 33.14°, I 100; hkl 1 0 2, 2θ = 42.65°, I 18; hkl 1 1 0, 2θ = 52.12°, I 21; hkl 1 0 3, 2θ = 55.55°, I 26; hkl 1 1 2, 2θ = 61.43°, I 24; hkl 2 0 1, 2θ = 63.16°, I 16; hkl 1 1 4, 2θ = 85.95°, I 10; hkl 2 1 1, 2θ = 86.25°, I 15

Structure:
```
data_BAu
_cell_length_a 3.5098
_cell_length_b 3.5098
_cell_length_c 5.9160
_cell_angle_alpha 90.00
_cell_angle_beta 90.00
_cell_angle_gamma 120.00
_space_group_name_H-M_alt 'P 1'
_space_group_IT_number 1
_space_group_name_Hall 'P 1'
loop_
_atom_site_label
_atom_site_type_symbol
_atom_site_fract_x
_atom_site_fract_y
_atom_site_fract_z
B1 B 0.3333 0.6667 0.0000
B2 B 0.6667 0.3333 0.5000
Au1 Au 0.3333 0.6667 0.6294
Au2 Au 0.6667 0.3333 0.1294
```

----------

1.
The following is a theoretical powder XRD pattern of CsGd2Ag3Te5. It was derived from a DFT-relaxed cell (PBE, the Materials Project), using copper Kα.

Most intense lines, 2θ = 15–90°, low angle first:
2θ/deg, I_rel
24.97, 42
25.42, 82
26.73, 78
28.44, 66
31.47, 67
33.34, 60
34.72, 53
38.17, 100
42.08, 78